const EventEmitter = require('events').EventEmitter
const inherits = require('util').inherits
const Transaction = require('ethereumjs-tx')
const LightwalletKeyStore = require('eth-lightwallet').keystore
const LightwalletSigner = require('eth-lightwallet').signing
const async = require('async')
const clone = require('clone')
const extend = require('xtend')
const createId = require('web3-provider-engine/util/random-id')
const autoFaucet = require('./auto-faucet')
Made configuration migrateable
Abstract all configuration data into a singleton called `configManager`, who is responsible for reading and writing to the persisted storage (localStorage, in our case).
Uses my new module [pojo-migrator](https://www.npmjs.com/package/pojo-migrator), and wraps it with the `ConfigManager` class, which we can hang any state setting or getting methods we need.
By keeping all the persisted state in one place, we can stabilize its outward-facing API, making the interactions increasingly atomic, which will allow us to add features that require restructuring the persisted data in the long term without having to rewrite UI or even `background.js` code.
All the restructuring and data-type management is kept in one neat little place.
This should make it very easy to add new configuration options like user-configured providers, per-domain vaults, and more!
I know this doesn't seem like a big user-facing feature, but we have a big laundry list of features that I think this will really help streamline.
9 years ago
const configManager = require('./config-manager-singleton')
const DEFAULT_RPC = 'https://rawtestrpc.metamask.io/'
module.exports = IdentityStore
inherits(IdentityStore, EventEmitter)
function IdentityStore(ethStore) {
// we just use the ethStore to auto-add accounts
this._ethStore = ethStore
// lightwallet key store
this._keyStore = null
// lightwallet wrapper
this._idmgmt = null
this.hdPathString = "m/44'/60'/0'/0"
this._currentState = {
selectedAddress: null,
identities: {},
unconfTxs: {},
// not part of serilized metamask state - only kept in memory
this._unconfTxCbs = {}
// public
IdentityStore.prototype.createNewVault = function(password, entropy, cb){
delete this._keyStore
Made configuration migrateable
Abstract all configuration data into a singleton called `configManager`, who is responsible for reading and writing to the persisted storage (localStorage, in our case).
Uses my new module [pojo-migrator](https://www.npmjs.com/package/pojo-migrator), and wraps it with the `ConfigManager` class, which we can hang any state setting or getting methods we need.
By keeping all the persisted state in one place, we can stabilize its outward-facing API, making the interactions increasingly atomic, which will allow us to add features that require restructuring the persisted data in the long term without having to rewrite UI or even `background.js` code.
All the restructuring and data-type management is kept in one neat little place.
This should make it very easy to add new configuration options like user-configured providers, per-domain vaults, and more!
I know this doesn't seem like a big user-facing feature, but we have a big laundry list of features that I think this will really help streamline.
9 years ago
this._createIdmgmt(password, null, entropy, (err) => {
if (err) return cb(err)
var seedWords = this._idmgmt.getSeed()
cb(null, seedWords)
IdentityStore.prototype.recoverFromSeed = function(password, seed, cb){
this._createIdmgmt(password, seed, null, (err) => {
if (err) return cb(err)
cb(null, this.getState())
IdentityStore.prototype.setStore = function(store){
this._ethStore = store
IdentityStore.prototype.clearSeedWordCache = function(cb) {
IdentityStore.prototype.getState = function(){
var seedWords = this.getSeedIfUnlocked()
Made configuration migrateable
Abstract all configuration data into a singleton called `configManager`, who is responsible for reading and writing to the persisted storage (localStorage, in our case).
Uses my new module [pojo-migrator](https://www.npmjs.com/package/pojo-migrator), and wraps it with the `ConfigManager` class, which we can hang any state setting or getting methods we need.
By keeping all the persisted state in one place, we can stabilize its outward-facing API, making the interactions increasingly atomic, which will allow us to add features that require restructuring the persisted data in the long term without having to rewrite UI or even `background.js` code.
All the restructuring and data-type management is kept in one neat little place.
This should make it very easy to add new configuration options like user-configured providers, per-domain vaults, and more!
I know this doesn't seem like a big user-facing feature, but we have a big laundry list of features that I think this will really help streamline.
9 years ago
var wallet = configManager.getWallet()
return clone(extend(this._currentState, {
isInitialized: !!configManager.getWallet() && !seedWords,
isUnlocked: this._isUnlocked(),
seedWords: seedWords,
IdentityStore.prototype.getSeedIfUnlocked = function() {
var showSeed = configManager.getShouldShowSeedWords()
var idmgmt = this._idmgmt
var shouldShow = showSeed && !!idmgmt
var seedWords = shouldShow ? idmgmt.getSeed() : null
return seedWords
IdentityStore.prototype.getSelectedAddress = function(){
return this._currentState.selectedAddress
IdentityStore.prototype.setSelectedAddress = function(address){
if (!address) {
var addresses = this._getAddresses()
address = addresses[0]
this._currentState.selectedAddress = address
IdentityStore.prototype.setLocked = function(cb){
delete this._keyStore
delete this._idmgmt
IdentityStore.prototype.submitPassword = function(password, cb){
this._tryPassword(password, (err) => {
if (err) return cb(err)
// load identities before returning...
IdentityStore.prototype.exportAccount = function(address, cb) {
var privateKey = this._idmgmt.exportPrivateKey(address)
cb(null, privateKey)
// comes from dapp via zero-client hooked-wallet provider
IdentityStore.prototype.addUnconfirmedTransaction = function(txParams, cb){
// create txData obj with parameters and meta data
var time = (new Date()).getTime()
var txId = createId()
var txData = {
id: txId,
txParams: txParams,
time: time,
status: 'unconfirmed',
this._currentState.unconfTxs[txId] = txData
console.log('addUnconfirmedTransaction:', txData)
// keep the cb around for after approval (requires user interaction)
this._unconfTxCbs[txId] = cb
// signal update
return txId
// comes from metamask ui
IdentityStore.prototype.approveTransaction = function(txId, cb){
var txData = this._currentState.unconfTxs[txId]
var txParams = txData.txParams
var approvalCb = this._unconfTxCbs[txId] || noop
// accept tx
approvalCb(null, true)
// clean up
delete this._currentState.unconfTxs[txId]
delete this._unconfTxCbs[txId]
// comes from metamask ui
IdentityStore.prototype.cancelTransaction = function(txId){
var txData = this._currentState.unconfTxs[txId]
var approvalCb = this._unconfTxCbs[txId] || noop
// reject tx
approvalCb(null, false)
// clean up
delete this._currentState.unconfTxs[txId]
delete this._unconfTxCbs[txId]
// performs the actual signing, no autofill of params
IdentityStore.prototype.signTransaction = function(txParams, cb){
try {
console.log('signing tx...', txParams)
var rawTx = this._idmgmt.signTx(txParams)
cb(null, rawTx)
} catch (err) {
// private
IdentityStore.prototype._didUpdate = function(){
this.emit('update', this.getState())
IdentityStore.prototype._isUnlocked = function(){
var result = Boolean(this._keyStore) && Boolean(this._idmgmt)
return result
// load identities from keyStoreet
IdentityStore.prototype._loadIdentities = function(){
if (!this._isUnlocked()) throw new Error('not unlocked')
var addresses = this._getAddresses()
addresses.forEach((address, i) => {
// // add to ethStore
// add to identities
var identity = {
name: 'Wallet ' + (i+1),
img: 'QmW6hcwYzXrNkuHrpvo58YeZvbZxUddv69ATSHY3BHpPdd',
address: address,
mayBeFauceting: this._mayBeFauceting(i),
this._currentState.identities[address] = identity
// mayBeFauceting
// If on testnet, index 0 may be fauceting.
// The UI will have to check the balance to know.
// If there is no balance and it mayBeFauceting,
// then it is in fact fauceting.
IdentityStore.prototype._mayBeFauceting = function(i) {
var config = configManager.getProvider()
if (i === 0 &&
config.type === 'rpc' &&
config.rpcTarget === DEFAULT_RPC) {
return true
return false
// keyStore managment - unlocking + deserialization
IdentityStore.prototype._tryPassword = function(password, cb){
this._createIdmgmt(password, null, null, cb)
IdentityStore.prototype._createIdmgmt = function(password, seed, entropy, cb){
var keyStore = null
LightwalletKeyStore.deriveKeyFromPassword(password, (err, derivedKey) => {
if (err) return cb(err)
Made configuration migrateable
Abstract all configuration data into a singleton called `configManager`, who is responsible for reading and writing to the persisted storage (localStorage, in our case).
Uses my new module [pojo-migrator](https://www.npmjs.com/package/pojo-migrator), and wraps it with the `ConfigManager` class, which we can hang any state setting or getting methods we need.
By keeping all the persisted state in one place, we can stabilize its outward-facing API, making the interactions increasingly atomic, which will allow us to add features that require restructuring the persisted data in the long term without having to rewrite UI or even `background.js` code.
All the restructuring and data-type management is kept in one neat little place.
This should make it very easy to add new configuration options like user-configured providers, per-domain vaults, and more!
I know this doesn't seem like a big user-facing feature, but we have a big laundry list of features that I think this will really help streamline.
9 years ago
var serializedKeystore = configManager.getWallet()
if (seed) {
try {
keyStore = this._restoreFromSeed(password, seed, derivedKey)
} catch (e) {
return cb(e)
_Attached: data records_
~~~
Density functional theory data (ωB97M-V/def2-TZVPD) for a 2-piece molecular cluster, C23H22N2O2S overall.

Computed properties:
Kohn-Sham gap (eV): 3.40
Relative energy (zero: lowest compared OMol25 entry of this formula, charge and spin) (kJ/mol): 471.9

```
! wB97M-V def2-TZVPD RIJCOSX def2/J DEFGRID3
* xyz 0 1
C 3.6863 -0.7490 1.3861
N 2.3023 -1.2148 1.3830
C 1.1974 -0.4222 1.2723
C 0.0375 -1.2086 1.3221
C -1.2792 -0.6989 1.3115
C -2.5022 -1.4663 1.3068
C -2.7175 -2.5386 0.4130
C -3.8709 -3.2805 0.4633
C -4.8374 -3.0035 1.4144
C -4.6656 -1.9468 2.2908
C -3.5385 -1.1671 2.2197
C 0.4876 -2.5738 1.5099
C -0.1915 -3.7768 1.7119
C 0.5326 -4.9343 1.8593
C 1.9272 -4.9221 1.8127
C 2.6156 -3.7445 1.6536
C 1.8947 -2.5556 1.5163
H 4.3728 -1.5867 1.4836
H 3.8984 -0.2283 0.4542
H 3.8534 -0.0647 2.2168
H 1.2213 0.6504 1.1727
H -1.3644 0.3760 1.3606
H -1.9650 -2.7544 -0.3250
H -4.0215 -4.0875 -0.2348
H -5.7220 -3.6142 1.4757
H -5.4156 -1.7437 3.0378
H -3.4042 -0.3499 2.9063
H -1.2633 -3.7813 1.7655
H 0.0112 -5.8632 2.0110
H 2.4645 -5.8534 1.8957
H 3.6890 -3.7390 1.6248
C 3.4994 3.8992 -3.8400
C 2.1521 3.8931 -3.2011
C 1.8498 4.7919 -2.1888
C 0.6041 4.7956 -1.5962
C -0.3525 3.9015 -2.0084
S -1.9900 3.9359 -1.2728
N -1.7706 2.8662 -0.0390
O -2.1811 5.3352 -0.7899
O -2.9163 3.4226 -2.3247
C -0.0732 3.0007 -3.0053
C 1.1716 2.9956 -3.5994
H 3.5761 3.1357 -4.6167
H 3.6954 4.8664 -4.3051
H 4.2852 3.7111 -3.1047
H 2.5967 5.4963 -1.8690
H 0.3620 5.5030 -0.8197
H -2.4849 2.6866 0.5960
H -0.8412 2.3142 -3.3225
H 1.3848 2.2925 -4.3843
*
```

Quick look at the Mulliken charges, all values in e: -0.9169, 0.1759, -0.9236, 0.7385, -0.5829, 0.5840, -0.6084, -0.4660, -0.4106, -0.5844, -0.4486, 1.1978, -0.2079, -0.8205, -0.7092, -0.8277, -0.0216, 0.2886, 0.3557, 0.3438, 0.6136, 0.3628, 0.5650, 0.4155, 0.4047, 0.3997, 0.4633, 0.4165, 0.4328, 0.4004, 0.2906, -1.3287, 0.8826, -0.5084, -0.4262, -0.1412, 1.0260, -0.6339, -0.7184, -0.7144, -0.4544, -0.6209, 0.3504, 0.3064, 0.2991, 0.3830, 0.4516, 0.1679, 0.4554, 0.3030

=====

Density functional theory data (ωB97M-V/def2-TZVPD) for C19H26N5O4STb as an isolated structure.

Computed properties:
Kohn-Sham gap (spin up / spin down) (eV): 8.25 / 8.16
Expectation value of S²: 12.675

```
! wB97M-V def2-TZVPD RIJCOSX def2/J DEFGRID3
* xyz 0 7
Tb -0.0289 -1.0006 1.5863
N 1.9582 -2.2704 2.7137
C 1.3139 -2.2529 4.0606
C 0.9120 -0.7865 4.2974
O 1.7489 -0.0432 4.8059
N -0.2827 -0.4592 3.7630
C -0.4773 0.9852 3.6020
C 0.1371 1.5642 2.2862
O -0.2239 2.6373 1.8551
O 1.0372 0.7824 1.7133
H 2.3625 -3.1813 2.5304
H 2.7259 -1.6012 2.7430
H 1.9962 -2.5683 4.8493
H 0.4476 -2.9162 4.0366
H 0.0342 1.5342 4.3976
H -1.5346 1.2428 3.6166
C -3.8911 3.0083 0.8637
C -3.9283 2.1380 -0.3842
N -2.5865 1.9100 -0.9195
C -2.0659 2.9549 -1.8094
C -2.1403 2.5604 -3.2754
C -1.8034 0.9066 -0.5145
S -2.4451 -0.1831 0.6763
N -0.5734 0.9241 -1.0810
C 0.3530 -0.0023 -1.0512
O 0.2496 -1.1909 -0.5772
C 1.6727 0.3771 -1.6453
C 2.7749 -0.4532 -1.4620
C 4.0105 -0.1037 -1.9847
~~~
Made configuration migrateable
Abstract all configuration data into a singleton called `configManager`, who is responsible for reading and writing to the persisted storage (localStorage, in our case).
Uses my new module [pojo-migrator](https://www.npmjs.com/package/pojo-migrator), and wraps it with the `ConfigManager` class, which we can hang any state setting or getting methods we need.
By keeping all the persisted state in one place, we can stabilize its outward-facing API, making the interactions increasingly atomic, which will allow us to add features that require restructuring the persisted data in the long term without having to rewrite UI or even `background.js` code.
All the restructuring and data-type management is kept in one neat little place.
This should make it very easy to add new configuration options like user-configured providers, per-domain vaults, and more!
I know this doesn't seem like a big user-facing feature, but we have a big laundry list of features that I think this will really help streamline.
9 years ago
// returning user, recovering from storage
} else if (serializedKeystore) {
keyStore = LightwalletKeyStore.deserialize(serializedKeystore)
var isCorrect = keyStore.isDerivedKeyCorrect(derivedKey)
if (!isCorrect) return cb(new Error('Lightwallet - password incorrect'))
// first time here
} else {
keyStore = this._createFirstWallet(entropy, derivedKey)
this._keyStore = keyStore
this._idmgmt = new IdManagement({
keyStore: keyStore,
derivedKey: derivedKey,
hdPathSTring: this.hdPathString,
IdentityStore.prototype._restoreFromSeed = function(password, seed, derivedKey) {
var keyStore = new LightwalletKeyStore(seed, derivedKey, this.hdPathString)
keyStore.addHdDerivationPath(this.hdPathString, derivedKey, {curve: 'secp256k1', purpose: 'sign'});
keyStore.generateNewAddress(derivedKey, 3)
Made configuration migrateable
Abstract all configuration data into a singleton called `configManager`, who is responsible for reading and writing to the persisted storage (localStorage, in our case).
Uses my new module [pojo-migrator](https://www.npmjs.com/package/pojo-migrator), and wraps it with the `ConfigManager` class, which we can hang any state setting or getting methods we need.
By keeping all the persisted state in one place, we can stabilize its outward-facing API, making the interactions increasingly atomic, which will allow us to add features that require restructuring the persisted data in the long term without having to rewrite UI or even `background.js` code.
All the restructuring and data-type management is kept in one neat little place.
This should make it very easy to add new configuration options like user-configured providers, per-domain vaults, and more!
I know this doesn't seem like a big user-facing feature, but we have a big laundry list of features that I think this will really help streamline.
9 years ago
console.log('restored from seed. saved to keystore')
return keyStore
IdentityStore.prototype._createFirstWallet = function(entropy, derivedKey) {
var secretSeed = LightwalletKeyStore.generateRandomSeed(entropy)
var keyStore = new LightwalletKeyStore(secretSeed, derivedKey, this.hdPathString)
keyStore.addHdDerivationPath(this.hdPathString, derivedKey, {curve: 'secp256k1', purpose: 'sign'});
keyStore.generateNewAddress(derivedKey, 3)
Made configuration migrateable
Abstract all configuration data into a singleton called `configManager`, who is responsible for reading and writing to the persisted storage (localStorage, in our case).
Uses my new module [pojo-migrator](https://www.npmjs.com/package/pojo-migrator), and wraps it with the `ConfigManager` class, which we can hang any state setting or getting methods we need.
By keeping all the persisted state in one place, we can stabilize its outward-facing API, making the interactions increasingly atomic, which will allow us to add features that require restructuring the persisted data in the long term without having to rewrite UI or even `background.js` code.
All the restructuring and data-type management is kept in one neat little place.
This should make it very easy to add new configuration options like user-configured providers, per-domain vaults, and more!
I know this doesn't seem like a big user-facing feature, but we have a big laundry list of features that I think this will really help streamline.
9 years ago
console.log('saved to keystore')
return keyStore
// get addresses and normalize address hexString
IdentityStore.prototype._getAddresses = function() {
return this._keyStore.getAddresses(this.hdPathString).map((address) => { return '0x'+address })
IdentityStore.prototype._autoFaucet = function() {
var addresses = this._getAddresses()
function IdManagement(opts) {
if (!opts) opts = {}
this.keyStore = opts.keyStore
this.derivedKey = opts.derivedKey
this.hdPathString = "m/44'/60'/0'/0"
this.getAddresses = function(){
return keyStore.getAddresses(this.hdPathString).map(function(address){ return '0x'+address })
this.signTx = function(txParams){
// normalize values
txParams.to = ethUtil.addHexPrefix(txParams.to)
txParams.from = ethUtil.addHexPrefix(txParams.from)
txParams.value = ethUtil.addHexPrefix(txParams.value)
txParams.data = ethUtil.addHexPrefix(txParams.data)
txParams.gasLimit = ethUtil.addHexPrefix(txParams.gasLimit || txParams.gas)
txParams.nonce = ethUtil.addHexPrefix(txParams.nonce)
var tx = new Transaction(txParams)
var rawTx = '0x'+tx.serialize().toString('hex')
return '0x'+LightwalletSigner.signTx(this.keyStore, this.derivedKey, rawTx, txParams.from, this.hdPathString)
this.getSeed = function(){
return this.keyStore.getSeed(this.derivedKey)
this.exportPrivateKey = function(address) {
return this.keyStore.exportPrivateKey(address, this.derivedKey, this.hdPathString)
// util
function noop(){}